Thank you guys um the reason I asked is because I don’t decarb at all when making my coconut oil and cocoa butter and it works great for the pain and so on ,
Attached: data records >
<<<
No. 1
Entry from Materials Project: SrCuSi after structural relaxation (r²SCAN).

The structure in POSCAR format:
```
SrCuSi
1.0
4.089 0.000 0.000
-2.044 3.541 0.000
0.000 0.000 9.365
Sr Cu Si
2 2 2
direct
0.000 0.000 0.000
0.000 0.000 0.500
0.333 0.667 0.250
0.667 0.333 0.750
0.333 0.667 0.750
0.667 0.333 0.250
```

Summary:
- ΔE_f (eV/atom) = -0.366
- SG = P6_3/mmc, No. 194



No. 2
Entry from Materials Project: TbCu2Si2 after structural relaxation (r²SCAN).

The structure in POSCAR format:
```
TbCu2Si2
1.0
-1.989 1.989 4.930
1.989 -1.989 4.930
1.989 1.989 -4.930
Tb Cu Si
1 2 2
direct
0.000 0.000 0.000
0.250 0.750 0.500
0.750 0.250 0.500
0.381 0.381 0.000
0.619 0.619 0.000
```

Summary:
- ΔE_f (eV/atom) = -0.641
- SG = I4/mmm, No. 139



No. 3
Entry from Materials Project: Cu2SiTe3 after structural relaxation (r²SCAN).

The structure in POSCAR format:
```
Cu2SiTe3
1.0
3.614 -6.290 0.000
3.614 6.290 0.000
-2.362 0.000 6.850
Cu Si Te
4 2 6
direct
0.086 0.914 0.500
0.262 0.761 0.002
0.761 0.262 0.502
0.914 0.086 0.000
0.437 0.605 0.518
0.605 0.437 0.018
0.138 0.631 0.630
0.295 0.466 0.133
0.466 0.295 0.633
0.631 0.138 0.130
0.806 0.973 0.626
0.973 0.806 0.126
```
>>>
Coconut oil I make brownes and have my dose in blocks or I make chocolate with the cocoa butter and that works faster and more sustainable pain relief and very functional high that it gives off ,
I used a double boiler technique melted 100g of cocoa butter then added 3-4g of ground up bud ( super fine) and let that go for a good two hours and then let it cool down for about half hour then put back on the boiler to make the chocolate ( you can strainthe access off but I like the taste)
I have a busy day tomorrow, with going into hospital on Tuesday(Monday 4most of you)I will be making my canna caps to take in with me ,picked up a box of 000 caps from chemist, so will start decarbonization, in morning.
15 minutes left of decabing, then final time through grinder and then spend the night filling caps,fun night ahead
@willd can I get a rough idea of how many 000caps I should try first up , and good morning to everyone ,
If you tamp them good and full, 2 will do the trick for 6-8 hours and really diminishes any cravings to smoke or vape.
Good Luck and speedy recovery @coltfire
Thank you @Willd
@bob31 I made some gifts at Christmas, one of which was a balm with lavender oil to prevent cracking of pet paw pads from salt and sand and snow. I imagine you could do something similar and add the cannabis. Loran Oils website (didn’t post as I wasn’t sure it was ok) has some great lotion and soap and bath fizz recipes you should look at. Maybe you can adjust the recipe and add cannabis or cannabis oil to it. For instance one of the recipes calls for almond oil. I bet you could infuse the almond oil with cannabis prior to making the recipe and get it in that way.
Thank you for those tips @AnneBonny I will certainly look into that.
The Lorain website are they the same folks that make the flavorings?
Converted my canna coconut oil to canna-caps this afternoon. I love the versatility of the coconut oil. Last year I made batches of butter and coconut oil from my harvest and put them in the freezer so they wouldn’t go bad. I found molds in the shape of sticks of butter on amazon and then just pull them out of the freezer and use them as recipes call for it. Unfortunately I have been having serious issues with nausea and lack of appetite over the past few months (to the point I have dropped 15 lbs that I can’t really afford to lose) and I am not always able to choke down a peanut butter cookie or brownie.
I melted down two sticks of canna-coconut oil (well really about a stick and 3/4’s because I put the frozen sticks on the counter to defrost and my husband started the crock pot that was right next to them and about 1/4 of one melted onto the counter before I caught it). Anyway it’s super easy with the right equipment (all from Amazon).
Frozen sticks and the mold
gelatin caps and filler
the setup
Easy peasy process with a 1 ml dropper
Waiting for the caps to go on
and voila…163 canna-caps. These will get covered and go back in the freezer so the oil doesn’t go rancid.
For me these have been a life saver because I can use them to calm my nausea and stimulate my appetite if it’s really bad as well as to medicate discreetly when needed.
@bob31Yes that’s the site. If you go to recipes there is a section for aromatherapy, spa and crafts. They actually have kits you can order (under essential oils and aromatherapy) that have everything you need to get started.
Wow thank you for all that. There are quite a few guys that make /use the canna caps and I have considered giving them a go. I’m gonna copy of your directions and give them a go in the fall when I harvest.
@willd I tried two with no effects, so went to 3 ,slight buzz but didn’t need to smoke or vape as you said , now at 4 and ,and dropped my pain meds down to only 4 pills a day ,two when wake up ,two after dinner ,4 canna caps before bed and sleeping right through,no real buzz from them but controlling the pain very well.the only thing I don’t like is the canna burps (yuk) lol
ok, been following thread for awhile, and getting curious. I have been smoking homemade hash from a pollen sifter. Would it work to decarb stash before It was put into sifter? Maybe end up with decarbed keif and send capsule potency thru the roof.
Glad to hear you’re recovering @Coltfire . I don’t usually have any indigestion issues so I don’t notice any cannaburp issue when I load up. I don’t take them every day because I still like to smoke and vape. When I do take them I usually only take 2 of the “000” size caps in the AM or if I’m going to be away from home for a long time somewhere I can’t smoke joints. You’re using the “000” size caps? I take a couple at bedtime sometimes too.
Nice job @AnneBonny
Next to the entry, the page also holds calculated crystals:
┌──
(1)
Entry from the Materials Project: Er6MgGe2S14 after structural relaxation (GGA-PBE).

abc: 9.7346 9.7346 5.8794
angles: 90.00 90.00 120.00
Last column: nearest neighbours and their distance in Å.
Space group P3 (No. 143)
Inequivalent atoms, fractional coordinates:
Er 0.0243 0.4732 0.0000 [3 per cell]  7 S 2.69-3.01
Er 0.3047 0.1923 0.4949 [3 per cell]  7 S 2.71-3.03
Mg 0.6667 0.3333 0.6893 [1 per cell]  6 S 2.55-2.59
Ge 0.0000 0.0000 0.0723 [1 per cell]  4 S 2.21-2.24
Ge 0.3333 0.6667 0.5764 [1 per cell]  4 S 2.22-2.24
S 0.0000 0.0000 0.6964 [1 per cell]  1 Ge 2.21
S 0.0913 0.2384 0.2344 [3 per cell]  1 Ge 2.24
S 0.1873 0.7588 0.7396 [3 per cell]  1 Ge 2.24
S 0.3333 0.6667 0.1993 [1 per cell]  1 Ge 2.22
S 0.4149 0.2301 0.9272 [3 per cell]  1 Mg 2.55, 3 Er 2.69-2.78
S 0.5158 0.0806 0.4436 [3 per cell]  1 Mg 2.59, 3 Er 2.72-2.78

Output
Size of the total moment ... 0.0 μB per cell

***

(2)
Entry from the Materials Project: NdFe10W2 after structural relaxation (GGA-PBE).

abc: 4.6939 8.6414 8.7544
angles: 90.00 90.00 90.00
Last column: nearest neighbours and their distance in Å.
Space group Immm (No. 71)
Inequivalent atoms, fractional coordinates:
Nd 0.0000 0.0000 0.0000 [2 per cell]  18 Fe 3.05-3.29, 2 W 3.12
Fe 0.0000 0.2737 0.5000 [4 per cell]  6 Fe 2.49-2.62, 2 W 2.68
Fe 0.0000 0.3597 0.0000 [4 per cell]  9 Fe 2.42-2.66
Fe 0.0000 0.5000 0.2696 [4 per cell]  6 Fe 2.46-2.65, 2 W 2.59
Fe 0.2500 0.2500 0.2500 [8 per cell]  6 Fe 2.35-2.49
W 0.0000 0.0000 0.3563 [4 per cell]  1 W 2.52, 8 Fe 2.59-2.68

Output
Size of the total moment ... 37.7 μB per cell

***

(3)
Entry from the Materials Project: YMg14SiO16 after structural relaxation (GGA-PBE).

abc: 8.7713 8.7713 4.3809
angles: 90.00 90.00 90.00
Last column: nearest neighbours and their distance in Å.
Space group P4/mmm (No. 123)
Inequivalent atoms, fractional coordinates:
Y 0.0000 0.0000 0.0000 [1 per cell]  6 O 2.19-2.26
Mg 0.0000 0.2634 0.5000 [4 per cell]  6 O 2.07-2.31
Mg 0.0000 0.5000 0.0000 [2 per cell]  6 O 2.08-2.19
Mg 0.2492 0.5000 0.5000 [4 per cell]  6 O 2.18-2.20
Mg 0.2568 0.2568 0.0000 [4 per cell]  6 O 2.14-2.25
Si 0.5000 0.5000 0.0000 [1 per cell]  6 O 2.19-2.30
O 0.0000 0.0000 0.5000 [1 per cell]  2 Y 2.19, 4 Mg 2.31
O 0.0000 0.2577 0.0000 [4 per cell]  5 Mg 2.12-2.25, 1 Y 2.26
O 0.0000 0.5000 0.5000 [2 per cell]  6 Mg 2.07-2.19
O 0.2376 0.5000 0.0000 [4 per cell]  5 Mg 2.08-2.19, 1 Si 2.30
O 0.2515 0.2515 0.5000 [4 per cell]  6 Mg 2.18-2.21
O 0.5000 0.5000 0.5000 [1 per cell]  2 Si 2.19, 4 Mg 2.20

Output
Size of the total moment ... 0.0 μB per cell
ΔE to the lowest computed polymorph ... 0 meV per atom

***

(4)
Entry from the Materials Project: NpRh3 after structural relaxation (GGA-PBE).

abc: 4.0088 4.0088 4.0088
angles: 90.00 90.00 90.00
Last column: nearest neighbours and their distance in Å.
Space group Pm-3m (No. 221)
Inequivalent atoms, fractional coordinates:
Np 0.0000 0.0000 0.0000 [1 per cell]  12 Rh 2.83
Rh 0.0000 0.5000 0.5000 [3 per cell]  4 Np 2.83, 8 Rh 2.83
└──
When I’m ready I may hit you up on this topic if you don’t mind
Don’t mind at all CB.
Yea I would love to learn how to make a batch as well @AnneBonny!
@willd yes using ooo caps
@bob31 I was poking around Amazon for recipe books and thought of you and your wife when I came across this:
I ended up getting the kindle version and can’t wait until my harvest is ready (or I hit Power Ball on Wednesday) because there’s lots of good stuff in it. ~ AB
Woohoo go Powerball lol. I need to go grab a couple quick picks tomorrow!
Sounds interesting. I will give it a look!
Line starts behind me @bob31…LOL